
Sunday, May 8, 2011

Beautiful Beetle - Answered

**The text is interrupted by materials data**
********
# RbTlBr3
Calculated powder X-ray diffraction pattern, Cu Kα X-rays. Input: a cell relaxed with GGA-PBE.
Lines closer than 0.1° are merged.

Top 10 peaks for 10° ≤ 2θ ≤ 90°, by angle:
two_theta  intensity  h k l
15.23  84  0 1 2
21.60  93  1 0 4
25.38  31  1 1 3
30.73  100  0 2 4
34.47  58  1 1 6
37.88  76  3 0 0
44.02  55  2 0 8
46.84  28  1 0 10
59.44  38  3 2 4
68.41  31  0 5 4

Crystal structure
```
data_RbTlBr3
_chemical_formula_sum 'Rb6 Tl6 Br18'
_cell_length_a 8.2293
_cell_length_b 8.2293
_cell_length_c 20.1517
_cell_angle_alpha 90.00
_cell_angle_beta 90.00
_cell_angle_gamma 120.00
_symmetry_space_group_name_H-M 'R 3 c'
_symmetry_Int_Tables_number 161
_symmetry_space_group_name_Hall 'R 3 -2"c'
loop_
_atom_site_label
_atom_site_type_symbol
_atom_site_fract_x
_atom_site_fract_y
_atom_site_fract_z
Rb1 Rb 0.0000 0.0000 0.0000
Tl1 Tl 0.0000 0.0000 0.2690
Br1 Br 0.0056 0.4290 0.0235
```

=====

# RbTmBr3
Calculated powder X-ray diffraction pattern, Cu Kα X-rays. Input: a cell relaxed with GGA-PBE.
Lines closer than 0.1° are merged.

Top 10 peaks for 10° ≤ 2θ ≤ 90°, by angle:
two_theta  intensity  h k l
15.97  100  1 0 1
22.64  70  1 2 1
27.17  27  2 2 0
32.16  54  0 4 0
32.31  83  2 0 2
35.29  24  3 0 1
36.11  19  1 4 1
36.22  34  2 2 2
40.69  37  1 2 3
46.23  48  2 4 2

Crystal structure
```
data_RbTmBr3
_chemical_formula_sum 'Rb4 Tm4 Br12'
_cell_length_a 8.0981
_cell_length_b 11.1337
_cell_length_c 7.5977
_cell_angle_alpha 90.00
_cell_angle_beta 90.00
_cell_angle_gamma 90.00
_symmetry_space_group_name_H-M 'P n m a'
_symmetry_Int_Tables_number 62
loop_
_symmetry_equiv_pos_as_xyz
'x,y,z'
'-x,-y,-z'
'-x+1/2,-y,z+1/2'
'x+1/2,y,-z+1/2'
'x+1/2,-y+1/2,-z+1/2'
'-x+1/2,y+1/2,z+1/2'
'-x,y+1/2,-z'
'x,-y+1/2,z'
loop_
_atom_site_label
_atom_site_type_symbol
_atom_site_fract_x
_atom_site_fract_y
_atom_site_fract_z
Rb1 Rb 0.0647 0.2500 0.0288
Tm1 Tm 0.0000 0.0000 0.5000
Br1 Br 0.0110 0.7500 0.4216
Br2 Br 0.2112 0.5345 0.7937
```

=====

# Rb5Tm3Br12
Calculated powder X-ray diffraction pattern, Cu Kα X-rays. Input: a cell relaxed with GGA-PBE.
Lines closer than 0.1° are merged.

Top 10 peaks for 10° ≤ 2θ ≤ 90°, by angle:
two_theta  intensity  h k l
12.57  100  1 1 0
21.85  33  3 0 0
23.69  45  1 1 1
26.34  29  3 1 0
27.90  90  2 1 1
32.45  67  2 2 1
38.34  28  3 3 0
39.47  66  4 1 1
40.65  29  0 0 2
43.61  35  3 3 1

Crystal structure
```
data_Rb5Tm3Br12
_chemical_formula_sum 'Rb5 Tm3 Br12'
_cell_length_a 14.0877
_cell_length_b 14.0877
_cell_length_c 4.4392
_cell_angle_alpha 90.00
_cell_angle_beta 90.00
_cell_angle_gamma 120.00
_symmetry_space_group_name_H-M 'P -6 2 m'
_symmetry_Int_Tables_number 189
_symmetry_space_group_name_Hall 'P -6 -2'
loop_
_atom_site_label
_atom_site_type_symbol
_atom_site_fract_x
_atom_site_fract_y
_atom_site_fract_z
Rb1 Rb 0.0000 0.7172 0.0000
Rb2 Rb 0.3333 0.6667 0.0000
Tm1 Tm 0.0000 0.3251 0.5000
Br1 Br 0.0000 0.1926 0.0000
Br2 Br 0.0000 0.4551 0.0000
Br3 Br 0.2110 0.7707 0.5000
```

=====

# RbVBr3
********


I finally completed a major garden project today. I used to have gravel walkways between my raised beds, but over time, the barrier fabric underneath stopped suppressing weeds. Last year and this spring, dandelions overtook the gravel, and their strong taproots grew straight through the fabric. Today I tore it all up and planted Corsican mint, a spreading herb that you can walk on. Added bonus: it releases minty air freshener every time you step on it.

As I was disturbing the rocks and soil and dandelions, I turned up some creatures. Notably, a fair population of roly-poly's, plus this purplish beetle.

You can see both in the picture above. I took this additional photo, mostly because I know how much you like beetles. (Don't you have a coffee-table book with photos of beetles that look like jewels?)

Although very pretty, I wonder whether the beetle is good/bad/indifferent to my garden? I found it in the pathway, not feeding on any vegetation. So, I did not kill it.

Also the roly-poly things. Again, they were in the pathway, not my actual beds. Are they detrimental, or a sign of something else that is bad?



I'm not sure what kind of beetle that is. There are a lot of beetles. When someone asked the scientist J.B.S. Haldane what he'd learned about the Creator from studying His work, Haldane replied that God has, "and inordinate fondness for beetles." There have been over 350,000 species of beetles described (slightly more than 4 per day since we started keeping track in the 1700s). And my favorite statistic: if every plant and animal species in the world were placed in a single file line, 1 out of every 5 would be a beetle. They inhabit pretty much every habitat in the world. And, yeah, I have a coffee table book that's full of pictures of them. But I'm not very good at identifying them by sight, except for some of the usual suspects. I especially like the Clown beetles that do handstands when disturbed and aquatic whirligig beetles.

<<<
The following is a theoretical X-ray diffraction stick pattern of Fe2O3F. It was derived from a DFT-relaxed cell (GGA+U, the Materials Project), using copper Kα.

Atomic structure:
```
data_Fe2O3F
_cell_length_a 4.6981
_cell_length_b 7.6488
_cell_length_c 9.8583
_cell_angle_alpha 69.72
_cell_angle_beta 86.17
_cell_angle_gamma 87.47
_symmetry_space_group_name_H-M 'P 1'
_symmetry_Int_Tables_number 1
_symmetry_space_group_name_Hall 'P 1'
loop_
_atom_site_label
_atom_site_type_symbol
_atom_site_fract_x
_atom_site_fract_y
_atom_site_fract_z
_atom_site_occupancy
Fe1 Fe 0.0000 0.0000 0.0000 1
Fe2 Fe 0.9997 0.2009 0.4011 1
Fe3 Fe 0.0197 0.6127 0.2045 1
Fe4 Fe 0.4622 0.6977 0.8827 1
Fe5 Fe 0.4693 0.4968 0.4867 1
Fe6 Fe 0.4980 0.9049 0.2975 1
Fe7 Fe 0.5026 0.3069 0.0988 1
Fe8 Fe 0.5311 0.1094 0.7114 1
Fe9 Fe 0.9921 0.8052 0.5948 1
Fe10 Fe 0.9937 0.4040 0.7942 1
O1 O 0.1723 0.6404 0.7658 1
O2 O 0.1820 0.4331 0.3741 1
O3 O 0.1881 0.8506 0.1699 1
O4 O 0.2951 0.7415 0.4730 1
O5 O 0.3013 0.5426 0.0715 1
O6 O 0.3056 0.3418 0.6752 1
O7 O 0.3068 0.9407 0.8773 1
O8 O 0.3083 0.1454 0.2763 1
O9 O 0.6841 0.6650 0.3191 1
O10 O 0.6851 0.4649 0.9166 1
O11 O 0.6912 0.8639 0.7210 1
O12 O 0.6943 0.2644 0.5206 1
O13 O 0.6974 0.0688 0.1214 1
O14 O 0.8178 0.9699 0.4254 1
O15 O 0.8209 0.1649 0.8288 1
F1 F 0.1981 0.2454 0.9779 1
F2 F 0.2002 0.0418 0.5804 1
F3 F 0.7914 0.5635 0.6145 1
F4 F 0.8022 0.3701 0.2166 1
F5 F 0.8034 0.7598 0.0219 1
```

Most intense lines, 10 to 90 degrees two-theta, low angle first:
Position (°2θ), I/Imax, h k l
25.92, 100, 1 1 2
27.85, 94, -1 1 2
35.43, 99, 1 2 -1
38.42, 19, 2 0 0
52.08, 29, 2 3 1
52.22, 29, 1 0 5
53.31, 15, 2 2 4
54.31, 40, 2 1 -3
57.55, 15, -2 2 4
61.60, 16, 0 4 -2
67.49, 19, 3 2 -1
67.61, 19, 3 -2 1

~~~~~

The following is a calculated X-ray powder pattern of VRu3C. It was derived from a structure optimized by DFT (GGA-PBE), using Cu Kα, 1.54184 Å.
No peak broadening, texture or thermal motion is included.

Structural model:
a = 4.0034 Å, b = 4.0034 Å, c = 4.0034 Å
α = 90.00°, β = 90.00°, γ = 90.00°
Fractional coordinates of all 5 atoms:
V  0.0000  0.0000  0.0000
Ru  0.0000  0.5000  0.5000
Ru  0.5000  0.0000  0.5000
Ru  0.5000  0.5000  0.0000
C  0.5000  0.5000  0.5000

Largest 12 diffraction maxima, by angle, 2θ = 10–90°:
(1 0 0), 2θ 22.21, intensity 11
(1 1 0), 2θ 31.61, intensity 4
(1 1 1), 2θ 38.97, intensity 100
(2 0 0), 2θ 45.30, intensity 54
(2 1 0), 2θ 51.01, intensity 5
(2 1 1), 2θ 56.29, intensity 2
(2 2 0), 2θ 66.00, intensity 33
(3 0 0), 2θ 70.58, intensity 2
(3 1 0), 2θ 75.03, intensity 1
(3 1 1), 2θ 79.39, intensity 36
(2 2 2), 2θ 83.68, intensity 11
(3 2 0), 2θ 87.94, intensity 1
>>>

That said, I think you have some type of carabid there, which would be a good thing. The first picture looks like it has fused elytra (the hard cap on the back of the wings), which points to a carabid. There are about 40,000 species of carabids world wide, and at least 4,000 in North America. They're called ground beetles, and several species are cosmopolitan (meaning they don't seek out humans, but they thrive in areas with humans). They're primarily nocturnal, and spend the days under bark and/or rocks. Good news: if it's a carabid, it's probably eating your slugs. They hunt at night, so you wouldn't be able to see them in action unless you brought out a black light and looked for them. I might be wrong, so keep an eye on your plants. But I'm pretty sure it's a good thing you left it alone.

Roly Polys (or pill bugs or sow bugs) are often blamed by home gardeners for damage caused by other pests, because they are so ubiquitous. I was reading a forum about slug damage, and several people swore the damage was caused by these (pill or sow) bugs. Nevermind that their little mouths are waaay too small for that. They feed primarily on decaying plant matter, so you'll have them in any garden that uses a lot of compost. They're very good to have in a compost pile. They have been known to feed on seedlings, which is why some gardeners blame them for damage. If you catch something chomping away, you assume it's causing the harm you see. But unless you have a ridiculously huge population, they can't do much damage to a plant. You won't see them stripping a garden. Usually, it's the case of a sick plant (due to other culprits) where the roly polys get in on the fun. Because they feed during the day and are recognizable, people blame them. Fun fact: the scientific family name is Armadillidiidae, because they look like little armadillos. Dorky fact: I used to play bug doctor with roly polys at Grandma's house: they were sick when they curled up, and I had healed them when they started walking around on my hand.

In conclusion: I think both the beetle and roly polys are a good thing to have in the yard. Let me know if you see the beetle over by your garden, because I could be wrong in my identification. My guess is that you only saw her because you were redoing the path.

1 comment:

  1. I'm also interested in finding out about the roly polys and beetles - as we have a bunch of both in our garden.

    Oh - and your rose is starting to bloom - maybe we can transplant it next year?
